Request
The reader should find the line further down that holds "the calculation:", then write out that line and all lines after it there.

Excerpt
-- begin --
(1)
A relaxed structure of Na10Y4Zr4Si7S5O48, computed with PBE-GGA.

Values from the calculation:
- E (MP2020) (eV per cell) = -1784.685
- density (g/cm3) = 2.96
- VASP energy (eV/atom) = -7.204

Cell and atoms, written as CIF:
```
data_Na10Y4Zr4Si7S5O48
_chemical_formula_sum 'Na30 Y12 Zr12 Si21 S15 O144'
_symmetry_space_group_name_H-M 'P 1'
_symmetry_Int_Tables_number 1
_cell_length_a 9.266
_cell_length_b 16.137
_cell_length_c 23.330
_cell_angle_alpha 90.89
_cell_angle_beta 90.03
_cell_angle_gamma 90.21
loop_
_symmetry_equiv_pos_as_xyz
'x,y,z'
loop_
_atom_site_label
_atom_site_type_symbol
_atom_site_fract_x
_atom_site_fract_y
_atom_site_fract_z
_atom_site_occupancy
Na1 Na 0.000 0.000 0.000 1
Na2 Na 0.000 0.332 0.662 1
Na3 Na 0.120 0.832 0.166 1
Na4 Na 0.122 0.167 0.832 1
Na5 Na 0.132 0.522 0.833 1
Na6 Na 0.168 0.528 0.186 1
Na7 Na 0.281 0.339 0.585 1
Na8 Na 0.288 0.672 0.256 1
Na9 Na 0.289 0.989 0.920 1
Na10 Na 0.307 0.677 0.751 1
Na11 Na 0.318 0.999 0.424 1
Na12 Na 0.326 0.339 0.090 1
Na13 Na 0.442 0.195 0.018 1
Na14 Na 0.445 0.527 0.680 1
Na15 Na 0.447 0.864 0.349 1
Na16 Na 0.490 0.521 0.334 1
Na17 Na 0.499 0.167 0.328 1
Na18 Na 0.499 0.832 0.661 1
Na19 Na 0.620 0.669 0.827 1
Na20 Na 0.621 0.334 0.166 1
Na21 Na 0.629 0.025 0.833 1
Na22 Na 0.775 0.493 0.918 1
Na23 Na 0.780 0.839 0.584 1
Na24 Na 0.798 0.167 0.247 1
Na25 Na 0.806 0.179 0.754 1
Na26 Na 0.824 0.839 0.094 1
Na27 Na 0.842 0.494 0.417 1
Na28 Na 0.946 0.028 0.680 1
Na29 Na 0.988 0.020 0.333 1
Na30 Na 0.991 0.355 0.002 1
Y1 Y 0.299 0.358 0.443 1
Y2 Y 0.306 0.016 0.774 1
Y3 Y 0.307 0.685 0.108 1
Y4 Y 0.311 0.021 0.270 1
Y5 Y 0.312 0.684 0.605 1
Y6 Y 0.320 0.358 0.942 1
Y7 Y 0.803 0.856 0.442 1
Y8 Y 0.807 0.516 0.773 1
Y9 Y 0.812 0.181 0.109 1
Y10 Y 0.812 0.184 0.606 1
Y11 Y 0.815 0.522 0.277 1
Y12 Y 0.817 0.853 0.941 1
Zr1 Zr 0.297 0.022 0.074 1
Zr2 Zr 0.297 0.354 0.739 1
Zr3 Zr 0.299 0.690 0.404 1
Zr4 Zr 0.310 0.694 0.904 1
Zr5 Zr 0.322 0.353 0.239 1
Zr6 Zr 0.326 0.019 0.572 1
Zr7 Zr 0.790 0.521 0.074 1
Zr8 Zr 0.796 0.853 0.738 1
Zr9 Zr 0.808 0.195 0.404 1
Zr10 Zr 0.824 0.519 0.572 1
Zr11 Zr 0.825 0.855 0.238 1
Zr12 Zr 0.826 0.191 0.905 1
Si1 Si 0.005 0.017 0.177 1
Si2 Si 0.010 0.352 0.844 1
Si3 Si 0.109 0.851 0.340 1
Si4 Si 0.111 0.184 0.006 1
Si5 Si 0.111 0.517 0.678 1
Si6 Si 0.162 0.837 0.012 1
Si7 Si 0.165 0.503 0.340 1
Si8 Si 0.166 0.167 0.675 1
Si9 Si 0.455 0.172 0.175 1
Si10 Si 0.455 0.837 0.510 1
Si11 Si 0.456 0.506 0.839 1
Si12 Si 0.505 0.517 0.179 1
Si13 Si 0.512 0.851 0.841 1
Si14 Si 0.605 0.351 0.342 1
Si15 Si 0.610 0.017 0.678 1
Si16 Si 0.664 0.001 0.341 1
Si17 Si 0.665 0.667 0.675 1
Si18 Si 0.669 0.334 0.011 1
Si19 Si 0.952 0.667 0.172 1
Si20 Si 0.954 0.003 0.842 1
Si21 Si 0.955 0.338 0.513 1
S1 S 0.011 0.681 0.506 1
S2 S 0.149 0.538 0.005 1
S3 S 0.155 0.872 0.671 1
S4 S 0.156 0.205 0.341 1
S5 S 0.462 0.206 0.840 1
S6 S 0.465 0.871 0.172 1
S7 S 0.469 0.538 0.506 1
S8 S 0.512 0.181 0.504 1
S9 S 0.605 0.680 0.004 1
S10 S 0.653 0.707 0.340 1
S11 S 0.654 0.038 0.003 1
S12 S 0.655 0.372 0.670 1
S13 S 0.960 0.375 0.170 1
S14 S 0.964 0.705 0.839 1
S15 S 0.969 0.038 0.506 1
O1 O 0.000 0.864 0.393 1
O2 O 0.011 0.169 0.946 1
O3 O 0.011 0.841 0.280 1
O4 O 0.025 0.526 0.738 1
O5 O 0.095 0.020 0.236 1
O6 O 0.100 0.690 0.558 1
O7 O 0.105 0.359 0.901 1
O8 O 0.108 0.672 0.455 1
O9 O 0.119 0.006 0.121 1
O10 O 0.120 0.372 0.175 1
O11 O 0.121 0.340 0.787 1
O12 O 0.123 0.694 0.844 1
O13 O 0.124 0.027 0.838 1
O14 O 0.127 0.685 0.167 1
O15 O 0.129 0.034 0.508 1
O16 O 0.129 0.347 0.509 1
O17 O 0.181 0.114 0.733 1
O18 O 0.184 0.256 0.289 1
O19 O 0.190 0.926 0.621 1
O20 O 0.192 0.586 0.954 1
O21 O 0.197 0.789 0.070 1
O22 O 0.202 0.446 0.393 1
O23 O 0.205 0.428 0.678 1
O24 O 0.207 0.579 0.058 1
O25 O 0.208 0.098 0.013 1
O26 O 0.209 0.453 0.003 1
O27 O 0.213 0.767 0.346 1
O28 O 0.214 0.788 0.664 1
O29 O 0.216 0.244 0.393 1
O30 O 0.219 0.263 0.003 1
O31 O 0.219 0.931 0.338 1
O32 O 0.220 0.121 0.335 1
O33 O 0.222 0.908 0.723 1
O34 O 0.224 0.780 0.956 1
O35 O 0.225 0.593 0.670 1
-- stop --

Reply
Values from the calculation:
- E (MP2020) (eV per cell) = -1784.685
- density (g/cm3) = 2.96
- VASP energy (eV/atom) = -7.204

Cell and atoms, written as CIF:
```
data_Na10Y4Zr4Si7S5O48
_chemical_formula_sum 'Na30 Y12 Zr12 Si21 S15 O144'
_symmetry_space_group_name_H-M 'P 1'
_symmetry_Int_Tables_number 1
_cell_length_a 9.266
_cell_length_b 16.137
_cell_length_c 23.330
_cell_angle_alpha 90.89
_cell_angle_beta 90.03
_cell_angle_gamma 90.21
loop_
_symmetry_equiv_pos_as_xyz
'x,y,z'
loop_
_atom_site_label
_atom_site_type_symbol
_atom_site_fract_x
_atom_site_fract_y
_atom_site_fract_z
_atom_site_occupancy
Na1 Na 0.000 0.000 0.000 1
Na2 Na 0.000 0.332 0.662 1
Na3 Na 0.120 0.832 0.166 1
Na4 Na 0.122 0.167 0.832 1
Na5 Na 0.132 0.522 0.833 1
Na6 Na 0.168 0.528 0.186 1
Na7 Na 0.281 0.339 0.585 1
Na8 Na 0.288 0.672 0.256 1
Na9 Na 0.289 0.989 0.920 1
Na10 Na 0.307 0.677 0.751 1
Na11 Na 0.318 0.999 0.424 1
Na12 Na 0.326 0.339 0.090 1
Na13 Na 0.442 0.195 0.018 1
Na14 Na 0.445 0.527 0.680 1
Na15 Na 0.447 0.864 0.349 1
Na16 Na 0.490 0.521 0.334 1
Na17 Na 0.499 0.167 0.328 1
Na18 Na 0.499 0.832 0.661 1
Na19 Na 0.620 0.669 0.827 1
Na20 Na 0.621 0.334 0.166 1
Na21 Na 0.629 0.025 0.833 1
Na22 Na 0.775 0.493 0.918 1
Na23 Na 0.780 0.839 0.584 1
Na24 Na 0.798 0.167 0.247 1
Na25 Na 0.806 0.179 0.754 1
Na26 Na 0.824 0.839 0.094 1
Na27 Na 0.842 0.494 0.417 1
Na28 Na 0.946 0.028 0.680 1
Na29 Na 0.988 0.020 0.333 1
Na30 Na 0.991 0.355 0.002 1
Y1 Y 0.299 0.358 0.443 1
Y2 Y 0.306 0.016 0.774 1
Y3 Y 0.307 0.685 0.108 1
Y4 Y 0.311 0.021 0.270 1
Y5 Y 0.312 0.684 0.605 1
Y6 Y 0.320 0.358 0.942 1
Y7 Y 0.803 0.856 0.442 1
Y8 Y 0.807 0.516 0.773 1
Y9 Y 0.812 0.181 0.109 1
Y10 Y 0.812 0.184 0.606 1
Y11 Y 0.815 0.522 0.277 1
Y12 Y 0.817 0.853 0.941 1
Zr1 Zr 0.297 0.022 0.074 1
Zr2 Zr 0.297 0.354 0.739 1
Zr3 Zr 0.299 0.690 0.404 1
Zr4 Zr 0.310 0.694 0.904 1
Zr5 Zr 0.322 0.353 0.239 1
Zr6 Zr 0.326 0.019 0.572 1
Zr7 Zr 0.790 0.521 0.074 1
Zr8 Zr 0.796 0.853 0.738 1
Zr9 Zr 0.808 0.195 0.404 1
Zr10 Zr 0.824 0.519 0.572 1
Zr11 Zr 0.825 0.855 0.238 1
Zr12 Zr 0.826 0.191 0.905 1
Si1 Si 0.005 0.017 0.177 1
Si2 Si 0.010 0.352 0.844 1
Si3 Si 0.109 0.851 0.340 1
Si4 Si 0.111 0.184 0.006 1
Si5 Si 0.111 0.517 0.678 1
Si6 Si 0.162 0.837 0.012 1
Si7 Si 0.165 0.503 0.340 1
Si8 Si 0.166 0.167 0.675 1
Si9 Si 0.455 0.172 0.175 1
Si10 Si 0.455 0.837 0.510 1
Si11 Si 0.456 0.506 0.839 1
Si12 Si 0.505 0.517 0.179 1
Si13 Si 0.512 0.851 0.841 1
Si14 Si 0.605 0.351 0.342 1
Si15 Si 0.610 0.017 0.678 1
Si16 Si 0.664 0.001 0.341 1
Si17 Si 0.665 0.667 0.675 1
Si18 Si 0.669 0.334 0.011 1
Si19 Si 0.952 0.667 0.172 1
Si20 Si 0.954 0.003 0.842 1
Si21 Si 0.955 0.338 0.513 1
S1 S 0.011 0.681 0.506 1
S2 S 0.149 0.538 0.005 1
S3 S 0.155 0.872 0.671 1
S4 S 0.156 0.205 0.341 1
S5 S 0.462 0.206 0.840 1
S6 S 0.465 0.871 0.172 1
S7 S 0.469 0.538 0.506 1
S8 S 0.512 0.181 0.504 1
S9 S 0.605 0.680 0.004 1
S10 S 0.653 0.707 0.340 1
S11 S 0.654 0.038 0.003 1
S12 S 0.655 0.372 0.670 1
S13 S 0.960 0.375 0.170 1
S14 S 0.964 0.705 0.839 1
S15 S 0.969 0.038 0.506 1
O1 O 0.000 0.864 0.393 1
O2 O 0.011 0.169 0.946 1
O3 O 0.011 0.841 0.280 1
O4 O 0.025 0.526 0.738 1
O5 O 0.095 0.020 0.236 1
O6 O 0.100 0.690 0.558 1
O7 O 0.105 0.359 0.901 1
O8 O 0.108 0.672 0.455 1
O9 O 0.119 0.006 0.121 1
O10 O 0.120 0.372 0.175 1
O11 O 0.121 0.340 0.787 1
O12 O 0.123 0.694 0.844 1
O13 O 0.124 0.027 0.838 1
O14 O 0.127 0.685 0.167 1
O15 O 0.129 0.034 0.508 1
O16 O 0.129 0.347 0.509 1
O17 O 0.181 0.114 0.733 1
O18 O 0.184 0.256 0.289 1
O19 O 0.190 0.926 0.621 1
O20 O 0.192 0.586 0.954 1
O21 O 0.197 0.789 0.070 1
O22 O 0.202 0.446 0.393 1
O23 O 0.205 0.428 0.678 1
O24 O 0.207 0.579 0.058 1
O25 O 0.208 0.098 0.013 1
O26 O 0.209 0.453 0.003 1
O27 O 0.213 0.767 0.346 1
O28 O 0.214 0.788 0.664 1
O29 O 0.216 0.244 0.393 1
O30 O 0.219 0.263 0.003 1
O31 O 0.219 0.931 0.338 1
O32 O 0.220 0.121 0.335 1
O33 O 0.222 0.908 0.723 1
O34 O 0.224 0.780 0.956 1
O35 O 0.225 0.593 0.670 1